What to do.
Your job: give back all of the notes underneath verbatim.

Source.
A relaxed Fe6O5F7 crystal. Source: the Materials Project, functional PBE+U.

Geometry as POSCAR:
```
Fe6O5F7
1.0
4.7816 0.0000 0.0000
0.1123 5.6961 0.0000
0.0805 0.6267 7.8052
Fe O F
6 5 7
Direct
0.0000 0.0000 0.0000 Fe
0.0026 0.6605 0.3304 Fe
0.4454 0.1392 0.3208 Fe
0.4574 0.4761 0.0053 Fe
0.4798 0.8044 0.6400 Fe
0.9287 0.3392 0.6774 Fe
0.1665 0.6941 0.0945 O
0.2688 0.1978 0.0892 O
0.2719 0.8449 0.4370 O
0.7692 0.2805 0.8963 O
0.7775 0.6149 0.5566 O
0.1595 0.3545 0.4453 F
0.1700 0.0237 0.7556 F
0.2751 0.5212 0.7605 F
0.6546 0.7806 0.8841 F
0.6732 0.1133 0.5641 F
0.6748 0.4566 0.2304 F
0.7820 0.9452 0.2244 F
```

Output
Formation energy from the elements ... -2086.8 meV/atom
Corrected total energy (MP2020 scheme) ... -7.03 eV per atom
M_tot ... 29.00 μB/cell

=====

A relaxed Fe4OF7 crystal. Source: the Materials Project, functional PBE+U.

Geometry as POSCAR:
```
Fe4OF7
1.0
3.1819 -6.8056 0.0000
3.1819 6.8056 0.0000
0.0000 0.0000 6.8974
Fe O F
8 2 14
Direct
0.1289 0.8711 0.7500 Fe
0.1412 0.3995 0.7500 Fe
0.3704 0.6296 0.2500 Fe
0.3995 0.1412 0.2500 Fe
0.6005 0.8588 0.7500 Fe
0.6296 0.3704 0.7500 Fe
0.8588 0.6005 0.2500 Fe
0.8711 0.1289 0.2500 Fe
0.2761 0.7239 0.7500 O
0.7239 0.2761 0.2500 O
0.0310 0.9690 0.2500 F
0.1326 0.3728 0.0432 F
0.1326 0.3728 0.4568 F
0.2214 0.7786 0.2500 F
0.3728 0.1326 0.5432 F
0.3728 0.1326 0.9568 F
0.4802 0.5198 0.7500 F
0.5198 0.4802 0.2500 F
0.6272 0.8674 0.0432 F
0.6272 0.8674 0.4568 F
0.7786 0.2214 0.7500 F
0.8674 0.6272 0.5432 F
0.8674 0.6272 0.9568 F
0.9690 0.0310 0.7500 F
```

Output
Formation energy from the elements ... -2388.4 meV/atom
Corrected total energy (MP2020 scheme) ... -6.74 eV per atom
M_tot ... 34.00 μB/cell

=====

A relaxed Fe2O3F crystal. Source: the Materials Project, functional PBE+U.

Geometry as POSCAR:
```
Fe2O3F
1.0
3.1998 -3.4391 0.0000
3.1998 3.4391 0.0000
0.0000 0.0000 12.0435
Fe O F
8 12 4
Direct
0.0000 0.0000 0.0000 Fe
0.0000 0.0000 0.5000 Fe
0.0120 0.9880 0.7500 Fe
0.4721 0.5279 0.6250 Fe
0.4721 0.5279 0.8750 Fe
0.5279 0.4721 0.1250 Fe
0.5279 0.4721 0.3750 Fe
0.9880 0.0120 0.2500 Fe
0.1808 0.8192 0.6215 O
0.1808 0.8192 0.8785 O
0.2961 0.3177 0.7500 O
0.3076 0.3076 0.0000 O
0.3076 0.3076 0.5000 O
0.3177 0.2961 0.2500 O
0.6823 0.7039 0.7500 O
0.6924 0.6924 0.0000 O
0.6924 0.6924 0.5000 O
0.7039 0.6823 0.2500 O
0.8192 0.1808 0.1215 O
0.8192 0.1808 0.3785 O
0.2011 0.7989 0.1266 F
0.2011 0.7989 0.3734 F
0.7989 0.2011 0.6266 F
0.7989 0.2011 0.8734 F
```

Output
Formation energy from the elements ... -828.0 meV/atom
Corrected total energy (MP2020 scheme) ... -6.44 eV per atom
M_tot ... 0.00 μB/cell

=====

A relaxed Fe5O2F8 crystal. Source: the Materials Project, functional PBE+U.

Geometry as POSCAR:
```
Fe5O2F8
1.0
4.8080 0.0000 0.0000
0.0762 5.7801 0.0000
0.1315 2.7004 13.3018
Fe O F
10 4 16
Direct
0.0000 0.0000 0.0000 Fe
0.0012 0.5981 0.1987 Fe
0.4543 0.5272 0.0062 Fe
0.4726 0.9092 0.8112 Fe
0.4763 0.1303 0.1993 Fe
0.5045 0.6896 0.3987 Fe
0.5319 0.3247 0.5979 Fe
0.9723 0.7894 0.6048 Fe
0.9772 0.2131 0.4090 Fe
0.9795 0.4106 0.7976 Fe
0.2876 0.8100 0.9481 O
0.3034 0.4151 0.1402 O

Result.
A relaxed Fe6O5F7 crystal. Source: the Materials Project, functional PBE+U.

Geometry as POSCAR:
```
Fe6O5F7
1.0
4.7816 0.0000 0.0000
0.1123 5.6961 0.0000
0.0805 0.6267 7.8052
Fe O F
6 5 7
Direct
0.0000 0.0000 0.0000 Fe
0.0026 0.6605 0.3304 Fe
0.4454 0.1392 0.3208 Fe
0.4574 0.4761 0.0053 Fe
0.4798 0.8044 0.6400 Fe
0.9287 0.3392 0.6774 Fe
0.1665 0.6941 0.0945 O
0.2688 0.1978 0.0892 O
0.2719 0.8449 0.4370 O
0.7692 0.2805 0.8963 O
0.7775 0.6149 0.5566 O
0.1595 0.3545 0.4453 F
0.1700 0.0237 0.7556 F
0.2751 0.5212 0.7605 F
0.6546 0.7806 0.8841 F
0.6732 0.1133 0.5641 F
0.6748 0.4566 0.2304 F
0.7820 0.9452 0.2244 F
```

Output
Formation energy from the elements ... -2086.8 meV/atom
Corrected total energy (MP2020 scheme) ... -7.03 eV per atom
M_tot ... 29.00 μB/cell

=====

A relaxed Fe4OF7 crystal. Source: the Materials Project, functional PBE+U.

Geometry as POSCAR:
```
Fe4OF7
1.0
3.1819 -6.8056 0.0000
3.1819 6.8056 0.0000
0.0000 0.0000 6.8974
Fe O F
8 2 14
Direct
0.1289 0.8711 0.7500 Fe
0.1412 0.3995 0.7500 Fe
0.3704 0.6296 0.2500 Fe
0.3995 0.1412 0.2500 Fe
0.6005 0.8588 0.7500 Fe
0.6296 0.3704 0.7500 Fe
0.8588 0.6005 0.2500 Fe
0.8711 0.1289 0.2500 Fe
0.2761 0.7239 0.7500 O
0.7239 0.2761 0.2500 O
0.0310 0.9690 0.2500 F
0.1326 0.3728 0.0432 F
0.1326 0.3728 0.4568 F
0.2214 0.7786 0.2500 F
0.3728 0.1326 0.5432 F
0.3728 0.1326 0.9568 F
0.4802 0.5198 0.7500 F
0.5198 0.4802 0.2500 F
0.6272 0.8674 0.0432 F
0.6272 0.8674 0.4568 F
0.7786 0.2214 0.7500 F
0.8674 0.6272 0.5432 F
0.8674 0.6272 0.9568 F
0.9690 0.0310 0.7500 F
```

Output
Formation energy from the elements ... -2388.4 meV/atom
Corrected total energy (MP2020 scheme) ... -6.74 eV per atom
M_tot ... 34.00 μB/cell

=====

A relaxed Fe2O3F crystal. Source: the Materials Project, functional PBE+U.

Geometry as POSCAR:
```
Fe2O3F
1.0
3.1998 -3.4391 0.0000
3.1998 3.4391 0.0000
0.0000 0.0000 12.0435
Fe O F
8 12 4
Direct
0.0000 0.0000 0.0000 Fe
0.0000 0.0000 0.5000 Fe
0.0120 0.9880 0.7500 Fe
0.4721 0.5279 0.6250 Fe
0.4721 0.5279 0.8750 Fe
0.5279 0.4721 0.1250 Fe
0.5279 0.4721 0.3750 Fe
0.9880 0.0120 0.2500 Fe
0.1808 0.8192 0.6215 O
0.1808 0.8192 0.8785 O
0.2961 0.3177 0.7500 O
0.3076 0.3076 0.0000 O
0.3076 0.3076 0.5000 O
0.3177 0.2961 0.2500 O
0.6823 0.7039 0.7500 O
0.6924 0.6924 0.0000 O
0.6924 0.6924 0.5000 O
0.7039 0.6823 0.2500 O
0.8192 0.1808 0.1215 O
0.8192 0.1808 0.3785 O
0.2011 0.7989 0.1266 F
0.2011 0.7989 0.3734 F
0.7989 0.2011 0.6266 F
0.7989 0.2011 0.8734 F
```

Output
Formation energy from the elements ... -828.0 meV/atom
Corrected total energy (MP2020 scheme) ... -6.44 eV per atom
M_tot ... 0.00 μB/cell

=====

A relaxed Fe5O2F8 crystal. Source: the Materials Project, functional PBE+U.

Geometry as POSCAR:
```
Fe5O2F8
1.0
4.8080 0.0000 0.0000
0.0762 5.7801 0.0000
0.1315 2.7004 13.3018
Fe O F
10 4 16
Direct
0.0000 0.0000 0.0000 Fe
0.0012 0.5981 0.1987 Fe
0.4543 0.5272 0.0062 Fe
0.4726 0.9092 0.8112 Fe
0.4763 0.1303 0.1993 Fe
0.5045 0.6896 0.3987 Fe
0.5319 0.3247 0.5979 Fe
0.9723 0.7894 0.6048 Fe
0.9772 0.2131 0.4090 Fe
0.9795 0.4106 0.7976 Fe
0.2876 0.8100 0.9481 O
0.3034 0.4151 0.1402 O